KineticRehab Physio Adelaide has a broad range of specialised treatments that are effective for treating sports injuries. Their representatives are comprehensive in explaining and addressing all of your concerns. They also provide detailed information about their fees on their website and in physical consultations.

They accept most major health funds, concession discounts, Medicare EPC clients, and private clients with or without private health extras. They also offer physiotherapy treatment options, including dry needling and home exercise programs. For more information about the KineticRehab physio Adelaide, click here.


Physiotherapy is one of the best ways to treat injuries and pain. These specialists use hands-on techniques like muscle manipulation, massage, and electrotherapy to repair damage, improve movement and release stiffness. They also offer Western acupuncture and dry needling, which can help treat chronic pain caused by sports injuries or workplace and motor vehicle accidents.

physio AdelaideThis clinic is in Adelaide and Victor Harbor and offers many services. They can help you find relief from pain and get back to your everyday life quickly. They can perform tests to determine the cause of your pain and prescribe exercises to reduce your risk of future injury.

They can even provide you with an orthopedic surgical consultation if necessary. Their physiotherapists are skilled in treating all musculoskeletal conditions and can give you a full-body assessment. They also use various treatment techniques, such as joint and spinal mobilisation, soft tissue release, dry needling, cupping, and exercise-based rehabilitation.

Massage Therapy

Kate has a background in Podiatry, which helps her identify biomechanical issues and correct them using rehabilitation exercises and custom-made orthotic devices. Her special interests include foot posture and biomechanical analysis, and she is a member of the Australian Podiatry Association. For more information about the KineticRehab physio Adelaide, click here.

Physiotherapists at KineticRehab Physio Adelaide are highly experienced and offer specialised services to treat sports injuries. Their treatments are tailored to each patient’s needs and focus on getting the root cause of their injuries. They also teach patients how to prevent further injuries in the future.

Their knowledgeable therapists provide comprehensive treatment options, including soft tissue massage, joint mobilisation, dry needling, movement restoration, and individualised exercise-based rehabilitation programs. They also strongly emphasise client satisfaction and encourage growth through ongoing education. They work with their clients to develop open and honest relationships. They offer flexible appointment times to meet the demands of their clients.

Orthopedic Surgery

## Inserted here: data records
┌──
# 1
Entry from OQMD via LeMat-Bulk: a relaxed structure of KUCu (PBE-GGA).

Cell: 5.042 5.042 5.042 Å, 60.00 60.00 60.00°
Positions (direct):
1 U 0.750 0.750 0.750
2 Cu 0.000 0.000 0.000
3 K 0.250 0.250 0.250

Calculated values
Final energy ... -0.1485 hartree per atom
Excess energy over the best structure of this formula in the dataset ... 0.000 eV/atom



# 2
Entry from OQMD via LeMat-Bulk: a relaxed structure of K2Cu2W3 (PBE-GGA).

Cell: 9.258 9.258 9.258 Å, 27.77 27.77 27.77°
Positions (direct):
1 W 0.318 0.318 0.318
2 W 0.931 0.931 0.931
3 W 0.633 0.633 0.633
4 K 0.165 0.165 0.165
5 K 0.759 0.759 0.759
6 Cu 0.024 0.024 0.024
7 Cu 0.543 0.543 0.543

Calculated values
Final energy ... -0.2218 hartree per atom



# 3
Entry from OQMD via LeMat-Bulk: a relaxed structure of Li2La2Cu15 (PBE-GGA).

Cell: 6.540 6.540 6.540 Å, 82.82 82.82 82.82°
Positions (direct):
1 Cu 0.000 0.297 0.703
2 Cu 0.703 0.000 0.297
3 Cu 0.844 0.341 0.341
4 Cu 0.659 0.156 0.659
5 Cu 0.659 0.659 0.156
6 Cu 0.341 0.844 0.341
7 Cu 0.297 0.000 0.703
8 Cu 0.703 0.297 0.000
9 Cu 0.500 0.000 0.000
10 Cu 0.156 0.659 0.659
11 Cu 0.000 0.703 0.297
12 Cu 0.297 0.703 0.000
13 Cu 0.000 0.000 0.500
14 Cu 0.000 0.500 0.000
15 Cu 0.341 0.341 0.844
16 La 0.345 0.345 0.345
17 La 0.655 0.655 0.655
18 Li 0.092 0.092 0.092
19 Li 0.908 0.908 0.908

Calculated values
Final energy ... -0.1387 hartree per atom



# 4
Entry from OQMD via LeMat-Bulk: a relaxed structure of LiLa2CuSn2 (PBE-GGA).

Cell: 4.684 4.684 8.107 Å, 90.00 90.00 120.00°
Positions (direct):
1 La 0.667 0.333 0.746
2 La 0.667 0.333 0.254
3 Sn 0.000 0.000 0.000
4 Sn 0.333 0.667 0.500
5 Li 0.333 0.667 0.000
6 Cu 0.000 0.000 0.500

Calculated values
Final energy ... -0.1670 hartree per atom



# 5
Entry from OQMD via LeMat-Bulk: a relaxed structure of LaLuCu (PBE-GGA).

Cell: 4.925 4.925 4.925 Å, 60.00 60.00 60.00°
Positions (direct):
1 Cu 0.000 0.000 0.000
2 La 0.250 0.250 0.250
3 Lu 0.750 0.750 0.750

Calculated values
Final energy ... -0.1593 hartree per atom
Excess energy over the best structure of this formula in the dataset ... 0.000 eV/atom



# 6
Entry from OQMD via LeMat-Bulk: a relaxed structure of LaLuCu (PBE-GGA).

Cell: 4.912 4.912 4.912 Å, 60.00 60.00 60.00°
Positions (direct):
1 La 0.000 0.000 0.000
2 Lu 0.750 0.750 0.750
3 Cu 0.250 0.250 0.250

Calculated values
Final energy ... -0.1319 hartree per atom
Excess energy over the best structure of this formula in the dataset ... 0.745 eV/atom



# 7
Entry from OQMD via LeMat-Bulk: a relaxed structure of La2NdMg3CuPd2 (PBE-GGA).

Cell: 4.161 7.695 7.695 Å, 120.38 90.00 90.00°
Positions (direct):
1 Mg 0.500 0.003 0.237
2 Mg 0.500 0.237 0.003
3 Mg 0.500 0.760 0.760
4 La 0.000 0.000 0.585
5 La 0.000 0.585 0.000
6 Cu 0.000 0.002 0.002
7 Nd 0.000 0.412 0.412
8 Pd 0.500 0.334 0.668
9 Pd 0.500 0.668 0.334

Calculated values
Final energy ... -0.1550 hartree per atom



# 8
Entry from OQMD via LeMat-Bulk: a relaxed structure of La2NdMg3CuPt2 (PBE-GGA).
└──

Orthopedic surgery, or orthopaedics, is a type of medical procedure that involves the musculoskeletal system. It can treat various conditions, including sprains, fractures, arthritis, and other problems affecting the joints, muscles, ligaments, tendons, or nerves. These procedures can help improve a person’s quality of life.

A physiotherapist can help patients recover from injuries and relieve pain. They can also offer advice on how to avoid further injury. They can perform tests to determine the cause of your pain and recommend exercises for recovery. They can also prescribe medications and assist with care coordination.

The team uses the latest physiotherapy techniques to heal aches and pains. This includes soft tissue release, joint and spinal mobilisation, dry needling, cupping, and remedial massage. They can even provide customised exercise programs to help you return to normal activities. For more information about the KineticRehab physio Adelaide, click here.


Kinetic-Rehabilitation Sports Physio Adelaide offers a variety of treatment options for sports injuries. These include physical therapy, which helps injured sportspeople recover their range of motion and reduce pain. They also teach players proper body mechanics to prevent injuries from recurring.

This clinic has a team of expert physiotherapists skilled in treating sports injuries and other issues. Their treatments are evidence-based and holistic, and they use a mixture of hands-on therapies such as massage and joint mobilisation to treat patients. They also offer a range of other treatments, such as dry needling and home exercise programs.

The therapists here use techniques like Fascial Counterstrain, a gentle manual therapy technique that finds and releases fascial restrictions to improve movement and reduce pain. They also offer home exercise programs and specialised group exercises.